Pressures of Teen Life Can Worsen Anxiety and Depression
Two days. Just 48 hours until school starts again.
In two days I’ll be right back there in that freshly-polished hallway, standing there with a frozen smile on my face, pretending everything is perfect.
I’ll listen as Madison tells me all about her latest boyfriend, and I’ll laugh when Taylor goes on about her epic Snapchat fail.
As far as they’ll be able to tell, I’ll be the same girl they’ve always known – fun, happy, over-achieving, me.
Even if I feel like dying inside, that’s the me they’ll see.
Why would they suspect otherwise? Why wouldn’t I be happy? I don’t even know why I feel this way.
This year should be my year.
I’ll be captain of the volleyball team, editor of the school yearbook, and co-captain of the cheerleading squad. I’ve been waiting for this since I was a freshman.
I have to carry my usual 4.0 GPA, only this year I also have to ace the ACTs. I’m taking AP Spanish and Calculus, and last week I found out I got into a special college prep writing class.
I know colleges look at extracurriculars, so I signed up for the debate team last spring. What’s one more thing? Practices start in three weeks, and Show Choir rehearsals start the week before that.
I’m president of the community service group so I’ll be leading the charge this year on all the volunteer projects for the entire school. Maybe a holiday food drive or a spring recycling effort?
Maybe, if I’m really careful with my scheduling, I can find time to do both. That would look fantastic on my college application.
It’s going to be a busy year, for sure, but I live for this stuff. Stress? I thrive on stress!
At least, that’s what I’ve heard my parents say about me to their friends.
Junior year is going to be my year, right? Right.
Then why, is it getting harder and harder to get out of bed the closer it gets to the first day of school. What is wrong with me?
When I think about school, my friends and the year ahead, I just want to crawl under the covers and hide. And I don’t understand why.
I should be happy. I shouldn’t have to pretend or fake a smile when I’m with my friends. But more and more lately, I do.
I’ll get it together. I have to. No one would understand if I just didn’t show up. No one would understand if I backed out of something – out of everything.
+++
(1)
Entry from Materials Project: a relaxed structure of EuGa3Pd (r2SCAN).

Computed properties:
E_form ... -715 meV/atom
Symmetry ... Cmcm
Electronic total energy ... -99.38 eV per formula unit

Geometry as POSCAR:
```
EuGa3Pd
1.0
0.974 1.713 5.741
-5.685 -1.575 -1.426
1.184 -5.607 1.472
Eu Ga Pd
2 6 2
direct
0.234 0.766 0.750 Eu
0.766 0.234 0.250 Eu
0.663 0.337 0.750 Ga
0.337 0.663 0.250 Ga
0.717 0.717 0.000 Ga
0.717 0.717 0.500 Ga
0.283 0.283 0.000 Ga
0.283 0.283 0.500 Ga
0.903 0.097 0.750 Pd
0.097 0.903 0.250 Pd
```

(2)
Entry from Materials Project: a relaxed structure of EuGa2S4 (r2SCAN).

Computed properties:
E_form ... -1324 meV/atom
Symmetry ... Cccm
Electronic total energy ... -102.81 eV per formula unit

Geometry as POSCAR:
```
EuGa2S4
1.0
-2.770 0.526 5.287
1.359 -5.443 -2.104
9.241 0.453 4.797
Eu Ga S
2 4 8
direct
0.500 0.500 0.750 Eu
0.500 0.500 0.250 Eu
0.765 0.238 0.500 Ga
0.235 0.762 0.500 Ga
0.762 0.235 0.000 Ga
0.238 0.765 0.000 Ga
0.353 0.184 0.500 S
0.647 0.816 0.500 S
0.816 0.647 0.000 S
0.184 0.353 0.000 S
0.500 0.000 0.834 S
0.000 0.500 0.666 S
0.500 0.000 0.166 S
0.000 0.500 0.334 S
```

(3)
Entry from Materials Project: a relaxed structure of EuGa2S4 (r2SCAN).

Computed properties:
E_form ... -1339 meV/atom
Symmetry ... Fddd
Electronic total energy ... -102.91 eV per formula unit

Geometry as POSCAR:
```
EuGa2S4
1.0
8.870 1.248 11.469
0.269 8.804 8.199
-1.044 -5.505 10.506
Eu Ga S
8 16 32
direct
0.248 0.248 0.752 Eu
0.000 0.000 0.000 Eu
0.250 0.250 0.250 Eu
0.500 0.500 0.500 Eu
0.002 0.002 0.498 Eu
0.498 0.498 0.002 Eu
0.752 0.752 0.248 Eu
0.750 0.750 0.750 Eu
0.760 0.489 0.014 Ga
0.489 0.760 0.737 Ga
0.490 0.761 0.236 Ga
0.265 0.985 0.593 Ga
0.593 0.156 0.265 Ga
0.265 0.985 0.094 Ga
0.014 0.737 0.760 Ga
0.236 0.513 0.490 Ga
0.737 0.014 0.489 Ga
0.985 0.265 0.156 Ga
0.156 0.593 0.985 Ga
0.657 0.094 0.985 Ga
0.761 0.490 0.513 Ga
0.094 0.657 0.265 Ga
0.985 0.265 0.657 Ga
0.513 0.236 0.761 Ga
0.782 0.470 0.310 S
0.780 0.468 0.812 S
0.310 0.438 0.782 S
0.041 0.043 0.209 S
0.438 0.310 0.470 S
0.777 0.975 0.284 S
0.041 0.543 0.709 S
0.468 0.780 0.940 S
0.707 0.209 0.544 S
0.812 0.940 0.780 S
0.544 0.541 0.707 S
0.043 0.041 0.707 S
0.940 0.812 0.468 S
0.964 0.284 0.975 S
0.543 0.041 0.207 S
0.209 0.207 0.041 S
0.966 0.286 0.473 S
0.209 0.707 0.041 S
0.709 0.706 0.041 S
0.473 0.275 0.966 S
0.284 0.964 0.777 S
0.275 0.473 0.286 S
0.470 0.782 0.438 S
0.286 0.966 0.275 S
0.209 0.707 0.541 S
0.207 0.209 0.543 S
0.707 0.209 0.043 S
0.543 0.041 0.706 S
0.706 0.709 0.543 S
0.041 0.543 0.209 S
0.975 0.777 0.964 S
0.541 0.544 0.209 S
```
+++
That would be quitting – or worse – failing. And I’d rather die than fail.
I can do this. I have to do this. . .
But what if I can’t?
It’s a misconception that the only teens who struggle with anxiety or depression are the loners hiding in the shadows of the school cafeteria.
In truth, mental health issues can impact any child, from any family, in any community.
There are many stressors that impact the daily life of the average teen, from college prep and peer pressure, to after-school jobs and social media.
When those stressors pile on an individual already battling anxiety or depression, the result can range from changes in mood and behavior to thoughts of suicide.
Fortunately, with counseling and support, teens can learn ways to cope with depression and anxiety, and find ways to balance stressors.
Human Support Services offers counseling and services to youth and adults struggling with anxiety, depression and other mental health concerns. We can help.
If you have a teen in your life whom could benefit from counseling or mental health services, call us today at 618-939-4444.